The concept of artificial intelligence was formalized for the first time during a conference at the University of Dartmouth in 1956. One of the researchers present, very active at this conference, Herbert Simon, already foresaw that machines would be able, over the next twenty years, to do everything man can do. But at the time, he underestimated the extraordinary challenges that humanity would face, by delegating to machines, decisions that would exclude the emotion that participates in any human reflection.
Although now more than half a century old, it is only in recent years that artificial intelligence has begun to make leaps and bounds. We are changing paradigms. It is no longer artificial intelligence that helps men, it is now men who assist it. It's not a word game. As we are swept into a whirlwind that demands that businesses become more efficient and more successful, we need help.
A pioneer, the whole communication sector has started to chat. In 2016, messaging applications, for example, exceeded social networks in number of daily users.
Thus were born the "chatbots" whose most frequent use is the distribution of content. The development of inbound marketing and the decline of internet banners is now leading commercial teams to favor content as the most effective means of communication with the customer. The problem is that it is created more and more. So distribution is the key to success. The "bots" proved that they were the effective instrument for connecting and communicating with the desired targets.
The other use, in strong growth, is the customer service. The "bots", fed by artificial intelligence, know how to interpret and respond, in real time, to most questions, without any human assistance. Big companies like American Express or Macy's have truffled their customer service with "bots" to improve their relationship with consumers, while drastically reducing costs.
The major interest of "bots" is that the management can now devote himself to the coordination and control of tasks, rid of all the routine content of his function.
Finally, in the field of data - the big data -, the "bots" constitute a tool of a great efficiency by their ability to make the collected information more reliable. Automatic natural language processing and machine learning provide highly accurate data and transform it into near-immediate operational results.
I strongly inspired for this post, an article written by Anne Gherini, American specialist in digital marketing. It seemed interesting, in this digital surge that we face, to educate entrepreneurs and leaders to the phenomenal development of artificial intelligence in business.
What comes next are data records, not part of the piece:
~~~
A relaxed structure of Na15Ta8Zn4Si9P9O72, computed with PBE.

Cell lengths 9.005, 8.997, 22.390 Å; angles 89.76, 89.94, 120.15 degrees
Fractional coordinates of all 117 atoms:
Na1 0.643 0.021 0.239
Na2 0.980 0.621 0.239
Na3 0.638 0.620 0.738
Na4 0.374 0.022 0.741
Na5 0.320 0.341 0.590
Na6 0.961 0.684 0.911
Na7 0.715 0.032 0.910
Na8 0.958 0.280 0.410
Na9 0.711 0.681 0.408
Na10 0.014 0.991 0.492
Na11 0.017 0.012 0.992
Na12 0.669 0.333 0.822
Na13 0.631 0.323 0.323
Na14 0.334 0.655 0.162
Na15 0.311 0.667 0.663
Ta1 0.997 0.000 0.645
Ta2 0.001 0.999 0.144
Ta3 0.663 0.334 0.982
Ta4 0.666 0.334 0.482
Ta5 0.337 0.675 0.022
Ta6 0.327 0.666 0.521
Ta7 0.331 0.662 0.311
Ta8 0.335 0.665 0.812
Zn1 0.022 0.004 0.354
Zn2 0.005 0.000 0.855
Zn3 0.672 0.332 0.676
Zn4 0.661 0.331 0.176
Si1 0.954 0.333 0.585
Si2 0.377 0.039 0.589
Si3 0.668 0.625 0.586
Si4 0.958 0.623 0.088
Si5 0.670 0.043 0.087
Si6 0.620 0.659 0.916
Si7 0.339 0.964 0.915
Si8 0.336 0.374 0.418
Si9 0.039 0.664 0.415
P1 0.293 0.001 0.251
P2 0.709 0.713 0.253
P3 0.006 0.288 0.254
P4 0.284 0.291 0.752
P5 0.000 0.708 0.754
P6 0.710 0.999 0.755
P7 0.375 0.334 0.085
P8 0.044 0.383 0.919
P9 0.612 0.958 0.415
O1 0.213 0.011 0.309
O2 0.804 0.792 0.311
O3 0.989 0.191 0.312
O4 0.192 0.180 0.806
O5 0.984 0.783 0.813
O6 0.796 0.004 0.814
O7 0.811 0.981 0.701
O8 0.184 0.205 0.693
O9 0.026 0.835 0.700
O10 0.812 0.834 0.199
O11 0.024 0.194 0.199
O12 0.175 0.978 0.196
O13 0.886 0.378 0.643
O14 0.474 0.109 0.650
O15 0.609 0.505 0.644
O16 0.884 0.520 0.148
O17 0.634 0.111 0.147
O18 0.481 0.371 0.141
O19 0.466 0.307 0.029
O20 0.832 0.526 0.029
O21 0.690 0.165 0.028
O22 0.479 0.174 0.532
O23 0.699 0.531 0.526
O24 0.839 0.304 0.523
O25 0.507 0.669 0.971
O26 0.150 0.476 0.974
O27 0.323 0.838 0.972
O28 0.513 0.843 0.469
O29 0.329 0.481 0.475
O30 0.158 0.673 0.472
O31 0.139 0.644 0.355
O32 0.508 0.871 0.357
O33 0.364 0.506 0.360
O34 0.138 0.498 0.862
O35 0.363 0.863 0.856
O36 0.503 0.637 0.855
O37 0.002 0.820 0.415
O38 0.789 0.977 0.415
O39 0.161 0.194 0.417
O40 0.012 0.201 0.915
O41 0.169 0.976 0.915
O42 0.806 0.830 0.917
O43 0.977 0.161 0.593
O44 0.187 0.030 0.592
O45 0.841 0.813 0.594
O46 0.981 0.818 0.092
O47 0.847 0.029 0.092
O48 0.196 0.167 0.090
O49 0.672 0.145 0.750
O50 0.468 0.323 0.750
O51 0.843 0.532 0.745
O52 0.681 0.533 0.246
O53 0.854 0.320 0.250
O54 0.476 0.150 0.245
O55 0.642 0.489 0.922
O56 0.868 0.379 0.922
O57 0.523 0.144 0.922
O58 0.625 0.136 0.421
O59 0.516 0.369 0.421
O60 0.855 0.479 0.420
O61 0.342 0.484 0.073
O62 0.151 0.651 0.075
O63 0.510 0.845 0.075
O64 0.343 0.847 0.575
O65 0.508 0.659 0.571
O66 0.156 0.489 0.575
O67 0.300 0.825 0.252
O68 0.532 0.713 0.253
O69 0.177 0.474 0.255
O70 0.295 0.473 0.755
O71 0.175 0.703 0.754
O72 0.526 0.820 0.753

Results
Uncorrected energy (eV/atom): -7.337
Formation energy (kJ/mol of atoms): -275.69
Magnetic moment (μB per cell): 0.00

A relaxed structure of Na3TaZnSiP2O12, computed with PBE.

Cell lengths 15.783, 8.994, 8.846 Å; angles 90.00, 124.60, 90.00 degrees
~~~
Everything is not robotisable, that's for sure. This is something that needs to be done regularly by keeping up to date with all the possibilities that exist to significantly improve the customer experience while reducing operating costs.